Wanted
Could you filter the data further down: keep the lines with the word "Here"?

Input
-- begin --
1.
Here is a relaxed GdSI crystal from Materials Project. Energies are from r²SCAN.

Geometry as POSCAR:
```
GdSI
1.0
4.2548 0.0000 0.0000
0.0000 5.3834 0.0000
0.0000 0.0000 9.5903
Gd S I
2 2 2
Cartesian
1.0637 1.3459 1.1696
3.1911 4.0376 8.4208
1.0637 4.0376 0.6088
3.1911 1.3459 8.9816
1.0637 4.0376 6.1972
3.1911 1.3459 3.3931
```

Properties
The energy relative to the elements comes out at -2.0378 eV/atom.



2.
Here is a relaxed Li2TlAu crystal from Materials Project. Energies are from r²SCAN.

Geometry as POSCAR:
```
Li2TlAu
1.0
0.0000 3.2465 3.2465
3.2465 0.0000 3.2465
3.2465 3.2465 0.0000
Li Tl Au
2 1 1
Cartesian
1.6233 1.6233 1.6233
4.8698 4.8698 4.8698
0.0000 0.0000 0.0000
3.2465 3.2465 3.2465
```

Properties
The energy relative to the elements comes out at -0.4093 eV/atom.



3.
Here is a relaxed V6CoIr crystal from Materials Project. Energies are from r²SCAN.

Geometry as POSCAR:
```
V6CoIr
1.0
4.6989 0.0000 0.0000
0.0000 4.6989 0.0000
0.0000 0.0000 4.6989
V Co Ir
6 1 1
Cartesian
0.0000 1.1544 2.3494
0.0000 3.5445 2.3494
1.1544 2.3494 0.0000
2.3494 0.0000 1.1544
2.3494 0.0000 3.5445
3.5445 2.3494 0.0000
0.0000 0.0000 0.0000
2.3494 2.3494 2.3494
```

Properties
The energy relative to the elements comes out at -0.3379 eV/atom.



4.
Here is a relaxed TbCl3 crystal from Materials Project. Energies are from r²SCAN.

Geometry as POSCAR:
```
TbCl3
1.0
7.4315 0.0000 0.0000
-3.7158 6.4359 0.0000
0.0000 0.0000 4.0200
Tb Cl
2 6
Cartesian
0.0000 4.2906 1.0050
3.7158 2.1453 3.0150
-0.7850 2.5269 3.0150
-1.1349 5.8523 3.0150
1.7958 1.9433 1.0050
1.9199 4.4926 3.0150
4.8507 0.5836 1.0050
4.5008 3.9090 1.0050
```

Properties
The energy relative to the elements comes out at -2.5321 eV/atom.



5.
Here is a relaxed SiO2 crystal from Materials Project. Energies are from r²SCAN.

Geometry as POSCAR:
```
SiO2
1.0
0.0000 9.5942 7.4806
4.6236 0.0000 7.4806
4.6236 9.5942 0.0000
Si O
12 24
Cartesian
6.2223 6.1654 5.4453
7.6906 8.0191 7.4806
3.0537 6.1248 2.3880
1.5699 3.4694 2.3880
7.6906 11.1693 7.4806
3.0249 6.1654 5.4453
6.2223 13.0230 5.4453
7.6772 13.0636 9.8687
3.0249 13.0230 5.4453
1.5566 8.0191 7.4806
6.1935 15.7190 9.8687
1.5566 11.1693 7.4806
1.9206 2.2213 1.4364
4.6236 1.8544 7.1260
6.7498 7.3844 6.3450
2.3118 4.7971 1.8627
2.7029 7.3729 1.4364
4.6236 6.0234 5.5917
7.4084 9.5942 7.5568
2.0004 3.1271 3.9057
6.7498 11.8041 6.3450
2.6232 6.4671 3.9057
4.6236 3.7789 9.8213
2.3118 4.7971 5.9268
7.3265 11.8155 8.9171
2.4973 7.3844 6.3450
4.6236 13.1651 5.5917
6.9353 14.3913 9.3433
7.2468 12.7213 11.3864
2.4973 11.8041 6.3450
6.5442 16.9672 8.9171
1.8388 9.5942 7.5568
4.6236 17.3341 7.1260
6.6239 16.0613 11.3864
6.9353 14.3913 13.4074
4.6236 15.4095 9.8213
```

Properties
The energy relative to the elements comes out at -3.0164 eV/atom.



6.
Here is a relaxed Ba6Ga5N crystal from Materials Project. Energies are from r²SCAN.

Geometry as POSCAR:
```
Ba6Ga5N
1.0
3.9809 2.2984 14.0198
-3.9809 2.2984 14.0198
0.0000 -4.5968 14.0198
Ba Ga N
12 10 2
Cartesian
-2.2798 0.7503 15.5418
-1.7011 -1.5481 22.5517
-2.1912 0.6991 19.5077
0.4901 -2.3495 15.5418
-1.7897 -1.5992 26.5176
0.4901 -2.2472 19.5077
-0.4901 2.2472 22.5517
1.7897 1.5992 15.5418
-0.4901 2.3495 26.5176
2.1912 -0.6991 22.5517
1.7011 1.5481 19.5077
2.2798 -0.7503 26.5176
-1.5851 0.0000 10.5149
0.0000 0.0000 8.3456
0.7926 -1.3727 10.5149
0.0000 0.0000 12.6841
0.7926 1.3727 10.5149
-0.7926 -1.3727 31.5446
0.0000 0.0000 29.3753
-0.7926 1.3727 31.5446
0.0000 0.0000 33.7138
1.5851 0.0000 31.5446
0.0000 0.0000 0.0000
0.0000 0.0000 21.0297
```

Properties
The energy relative to the elements comes out at -0.5123 eV/atom.



7.
Here is a relaxed Ba2SiSe4 crystal from Materials Project. Energies are from r²SCAN.

Geometry as POSCAR:
```
Ba2SiSe4
1.0
6.9701 0.0000 0.0000
0.0000 7.1129 0.0000
-3.0063 0.0000 8.8009
Ba Si Se
4 2 8
Cartesian
1.3321 1.7782 0.3613
0.2893 1.7782 5.0940
3.6744 5.3347 3.7069
2.6316 5.3347 8.4396
-0.9560 5.3347 6.9153
4.9197 1.7782 1.8856
-0.7830 3.5736 2.4227
-- stop --

Here it is
Here is a relaxed GdSI crystal from Materials Project. Energies are from r²SCAN.
Here is a relaxed Li2TlAu crystal from Materials Project. Energies are from r²SCAN.
Here is a relaxed V6CoIr crystal from Materials Project. Energies are from r²SCAN.
Here is a relaxed TbCl3 crystal from Materials Project. Energies are from r²SCAN.
Here is a relaxed SiO2 crystal from Materials Project. Energies are from r²SCAN.
Here is a relaxed Ba6Ga5N crystal from Materials Project. Energies are from r²SCAN.
Here is a relaxed Ba2SiSe4 crystal from Materials Project. Energies are from r²SCAN.